**Given:**
┌──
Crystalline AcPrSi3 at its relaxed geometry, computed with GGA-PBE.

Properties
E = -5.672 eV per atom
Fermi-level density of states = 2.040 states/eV/f.u.
E_form (uncorrected) = -0.641 eV/atom

POSCAR file:
```
AcPrSi3
1.0
2.313 -12.657 0.000
2.313 12.657 0.000
0.000 0.000 4.071
Ac Pr Si
2 2 6
direct
0.070 0.930 0.750 Ac
0.930 0.070 0.250 Ac
0.202 0.798 0.250 Pr
0.798 0.202 0.750 Pr
0.324 0.676 0.250 Si
0.379 0.621 0.750 Si
0.475 0.525 0.750 Si
0.525 0.475 0.250 Si
0.621 0.379 0.250 Si
0.676 0.324 0.750 Si
```


1.
Below is a geometry-optimized Be2CoSb structure, with properties calculated at the PBEsol level.

Cell lengths 3.601, 3.645, 3.645 Å; angles 90.00, 90.00, 90.00 degrees
Fractional positions:
Be (0.000, 0.000, 0.500)
Be (0.000, 0.500, 0.000)
Sb (0.500, 0.000, 0.000)
Co (0.500, 0.500, 0.500)

Output
Uncorrected formation energy in eV per atom: 0.21

***

2.
Below is a geometry-optimized BeCo3Sb structure, with properties calculated at the PBEsol level.

Cell lengths 4.512, 4.512, 4.512 Å; angles 90.00, 90.00, 90.00 degrees
Fractional positions:
Co (0.000, 0.000, 0.500)
Co (0.500, 0.000, 0.000)
Co (0.000, 0.500, 0.000)
Be (0.500, 0.500, 0.500)
Sb (0.000, 0.000, 0.000)

Output
Uncorrected formation energy in eV per atom: 1.61

***

3.
Below is a geometry-optimized BeCoSb2 structure, with properties calculated at the PBEsol level.

Cell lengths 4.001, 4.685, 4.685 Å; angles 61.93, 64.72, 64.72 degrees
Fractional positions:
Co (0.000, 0.500, 0.500)
Sb (0.754, 0.246, 0.246)
Sb (0.246, 0.754, 0.754)
└──

**Request:**
Type out everything earlier on without additions.

**Solution:**
Crystalline AcPrSi3 at its relaxed geometry, computed with GGA-PBE.

Properties
E = -5.672 eV per atom
Fermi-level density of states = 2.040 states/eV/f.u.
E_form (uncorrected) = -0.641 eV/atom

POSCAR file:
```
AcPrSi3
1.0
2.313 -12.657 0.000
2.313 12.657 0.000
0.000 0.000 4.071
Ac Pr Si
2 2 6
direct
0.070 0.930 0.750 Ac
0.930 0.070 0.250 Ac
0.202 0.798 0.250 Pr
0.798 0.202 0.750 Pr
0.324 0.676 0.250 Si
0.379 0.621 0.750 Si
0.475 0.525 0.750 Si
0.525 0.475 0.250 Si
0.621 0.379 0.250 Si
0.676 0.324 0.750 Si
```


1.
Below is a geometry-optimized Be2CoSb structure, with properties calculated at the PBEsol level.

Cell lengths 3.601, 3.645, 3.645 Å; angles 90.00, 90.00, 90.00 degrees
Fractional positions:
Be (0.000, 0.000, 0.500)
Be (0.000, 0.500, 0.000)
Sb (0.500, 0.000, 0.000)
Co (0.500, 0.500, 0.500)

Output
Uncorrected formation energy in eV per atom: 0.21

***

2.
Below is a geometry-optimized BeCo3Sb structure, with properties calculated at the PBEsol level.

Cell lengths 4.512, 4.512, 4.512 Å; angles 90.00, 90.00, 90.00 degrees
Fractional positions:
Co (0.000, 0.000, 0.500)
Co (0.500, 0.000, 0.000)
Co (0.000, 0.500, 0.000)
Be (0.500, 0.500, 0.500)
Sb (0.000, 0.000, 0.000)

Output
Uncorrected formation energy in eV per atom: 1.61

***

3.
Below is a geometry-optimized BeCoSb2 structure, with properties calculated at the PBEsol level.

Cell lengths 4.001, 4.685, 4.685 Å; angles 61.93, 64.72, 64.72 degrees
Fractional positions:
Co (0.000, 0.500, 0.500)
Sb (0.754, 0.246, 0.246)
Sb (0.246, 0.754, 0.754)